(Request)
Duplicate everything further below without altering anything.

(Listing)
+++
Here is SmAlPt3 after structural relaxation from Alexandria via LeMat-Bulk. Energies are from PBE-GGA.

The space group is Pbam (No. 55) and the conventional cell measures 6.2523, 6.2789 and 5.2023 Å, with angles of 90.00, 90.00 and 90.00 degrees. Symmetry generates all atoms from Sm at (0.0000, 0.0000, 0.0000), Al at (0.0000, 0.5000, 0.5000), Pt at (0.0000, 0.5000, 0.0000) and Pt at (0.1497, 0.1506, 0.5000).

Its formation energy is -0.727 eV/atom. The energy above the lowest structure with this stoichiometry comes out at 271 meV per atom. The value obtained for the volume is 204.23 Å³/cell.
+++

(Done)
Here is SmAlPt3 after structural relaxation from Alexandria via LeMat-Bulk. Energies are from PBE-GGA.

The space group is Pbam (No. 55) and the conventional cell measures 6.2523, 6.2789 and 5.2023 Å, with angles of 90.00, 90.00 and 90.00 degrees. Symmetry generates all atoms from Sm at (0.0000, 0.0000, 0.0000), Al at (0.0000, 0.5000, 0.5000), Pt at (0.0000, 0.5000, 0.0000) and Pt at (0.1497, 0.1506, 0.5000).

Its formation energy is -0.727 eV/atom. The energy above the lowest structure with this stoichiometry comes out at 271 meV per atom. The value obtained for the volume is 204.23 Å³/cell.